Data:
~~~
First-principles (PBE) data for a relaxed Y4Tm19Th6 crystal, as listed in Alexandria.

## Properties
As for the crystal system: cubic. The electronic total energy comes out at -4.925 eV/atom.

abc: 10.6991 10.6991 10.6991
angles: 109.47 109.47 109.47
Fractional coordinates of all 29 atoms:
Y 0.0000 0.0000 0.6440
Y 0.0000 0.6440 0.0000
Y 0.3560 0.3560 0.3560
Y 0.6440 0.0000 0.0000
Tm 0.0000 0.0000 0.0000
Tm 0.0000 0.2641 0.2641
Tm 0.0000 0.7359 0.7359
Tm 0.0191 0.8100 0.3419
Tm 0.1900 0.2091 0.5319
Tm 0.2091 0.5319 0.1900
Tm 0.2641 0.0000 0.2641
Tm 0.2641 0.2641 0.0000
Tm 0.3228 0.7909 0.9809
Tm 0.3419 0.0191 0.8100
Tm 0.4681 0.6772 0.6581
Tm 0.5319 0.1900 0.2091
Tm 0.6581 0.4681 0.6772
Tm 0.6772 0.6581 0.4681
Tm 0.7359 0.0000 0.7359
Tm 0.7359 0.7359 0.0000
Tm 0.7909 0.9809 0.3228
Tm 0.8100 0.3419 0.0191
Tm 0.9809 0.3228 0.7909
Th 0.1301 0.6301 0.5000
Th 0.3699 0.5000 0.8699
Th 0.5000 0.1301 0.6301
Th 0.5000 0.8699 0.3699
Th 0.6301 0.5000 0.1301
Th 0.8699 0.3699 0.5000


First-principles (PBE) data for a relaxed Y6Tm4Th crystal, as listed in Alexandria.

## Properties
As for the crystal system: orthorhombic. The electronic total energy comes out at -5.686 eV/atom.

abc: 5.6252 5.6252 25.6393
angles: 90.00 90.00 119.77
Fractional coordinates of all 22 atoms:
Y 0.0000 0.0000 0.0000
Y 0.0000 0.0000 0.5000
Y 0.0046 0.9954 0.7500
Y 0.3297 0.6703 0.1009
Y 0.3297 0.6703 0.3991
Y 0.3378 0.6622 0.6819
Y 0.3378 0.6622 0.8181
Y 0.6622 0.3378 0.1819
Y 0.6622 0.3378 0.3181
Y 0.6703 0.3297 0.6009
Y 0.6703 0.3297 0.8991
Y 0.9954 0.0046 0.2500
Tm 0.0046 0.9954 0.6217
Tm 0.0046 0.9954 0.8783
Tm 0.3347 0.6653 0.5413
Tm 0.3347 0.6653 0.9587
Tm 0.6653 0.3347 0.0413
Tm 0.6653 0.3347 0.4587
Tm 0.9954 0.0046 0.1217
Tm 0.9954 0.0046 0.3783
Th 0.3291 0.6709 0.2500
Th 0.6709 0.3291 0.7500


First-principles (PBE) data for a relaxed YTm2Th3 crystal, as listed in Alexandria.

## Properties
As for the energy relative to the lowest polymorph listed for this composition: 0.000 eV per atom. As for the crystal system: monoclinic. The electronic total energy comes out at -6.237 eV/atom.

abc: 9.3945 9.3945 6.1747
angles: 90.25 90.25 44.12
Fractional coordinates of all 12 atoms:
Y 0.1287 0.8713 0.7500
Y 0.8713 0.1287 0.2500
Tm 0.0430 0.2940 0.9169
Tm 0.2940 0.0430 0.4169
Tm 0.7060 0.9570 0.5831
Tm 0.9570 0.7060 0.0831
Th 0.2123 0.4546 0.5840
Th 0.3794 0.6206 0.2500
Th 0.4546 0.2123 0.0840
Th 0.5454 0.7877 0.9160
Th 0.6206 0.3794 0.7500
Th 0.7877 0.5454 0.4160


First-principles (PBE) data for a relaxed YTmThZr crystal, as listed in Alexandria.

## Properties
As for the crystal system: cubic. The electronic total energy comes out at -6.562 eV/atom.

abc: 5.4729 5.4729 5.4729
angles: 60.00 60.00 60.00
Fractional coordinates of all 4 atoms:
Y 0.0000 0.0000 0.0000
Tm 0.2500 0.2500 0.2500
Th 0.5000 0.5000 0.5000
Zr 0.7500 0.7500 0.7500


First-principles (PBE) data for a relaxed TmThZn3 crystal, as listed in Alexandria.

## Properties
As for the crystal system: orthorhombic. The electronic total energy comes out at -3.430 eV/atom.

abc: 13.6589 13.6589 4.5369
angles: 90.00 90.00 165.01
Fractional coordinates of all 10 atoms:
Tm 0.2099 0.7901 0.7500
Tm 0.7901 0.2099 0.2500
Th 0.0743 0.9257 0.2500
Th 0.9257 0.0743 0.7500
Zn 0.3236 0.6764 0.7500
Zn 0.3778 0.6222 0.2500
Zn 0.4760 0.5240 0.2500
Zn 0.5240 0.4760 0.7500
Zn 0.6222 0.3778 0.7500
Zn 0.6764 0.3236 0.2500


First-principles (PBE) data for a relaxed Tm2ThZn crystal, as listed in Alexandria.

## Properties
As for the energy relative to the lowest polymorph listed for this composition: 0.174 eV per atom. As for the crystal system: tetragonal. The electronic total energy comes out at -4.400 eV/atom.

abc: 4.7170 4.7170 4.8014
angles: 90.00 90.00 90.00
Fractional coordinates of all 4 atoms:
Tm 0.0000 0.5000 0.0000
Tm 0.5000 0.0000 0.0000
Th 0.0000 0.0000 0.5000
Zn 0.5000 0.5000 0.5000
~~~
Exercise:
The reader should reproduce everything further up word for word.
Done:
First-principles (PBE) data for a relaxed Y4Tm19Th6 crystal, as listed in Alexandria.

## Properties
As for the crystal system: cubic. The electronic total energy comes out at -4.925 eV/atom.

abc: 10.6991 10.6991 10.6991
angles: 109.47 109.47 109.47
Fractional coordinates of all 29 atoms:
Y 0.0000 0.0000 0.6440
Y 0.0000 0.6440 0.0000
Y 0.3560 0.3560 0.3560
Y 0.6440 0.0000 0.0000
Tm 0.0000 0.0000 0.0000
Tm 0.0000 0.2641 0.2641
Tm 0.0000 0.7359 0.7359
Tm 0.0191 0.8100 0.3419
Tm 0.1900 0.2091 0.5319
Tm 0.2091 0.5319 0.1900
Tm 0.2641 0.0000 0.2641
Tm 0.2641 0.2641 0.0000
Tm 0.3228 0.7909 0.9809
Tm 0.3419 0.0191 0.8100
Tm 0.4681 0.6772 0.6581
Tm 0.5319 0.1900 0.2091
Tm 0.6581 0.4681 0.6772
Tm 0.6772 0.6581 0.4681
Tm 0.7359 0.0000 0.7359
Tm 0.7359 0.7359 0.0000
Tm 0.7909 0.9809 0.3228
Tm 0.8100 0.3419 0.0191
Tm 0.9809 0.3228 0.7909
Th 0.1301 0.6301 0.5000
Th 0.3699 0.5000 0.8699
Th 0.5000 0.1301 0.6301
Th 0.5000 0.8699 0.3699
Th 0.6301 0.5000 0.1301
Th 0.8699 0.3699 0.5000


First-principles (PBE) data for a relaxed Y6Tm4Th crystal, as listed in Alexandria.

## Properties
As for the crystal system: orthorhombic. The electronic total energy comes out at -5.686 eV/atom.

abc: 5.6252 5.6252 25.6393
angles: 90.00 90.00 119.77
Fractional coordinates of all 22 atoms:
Y 0.0000 0.0000 0.0000
Y 0.0000 0.0000 0.5000
Y 0.0046 0.9954 0.7500
Y 0.3297 0.6703 0.1009
Y 0.3297 0.6703 0.3991
Y 0.3378 0.6622 0.6819
Y 0.3378 0.6622 0.8181
Y 0.6622 0.3378 0.1819
Y 0.6622 0.3378 0.3181
Y 0.6703 0.3297 0.6009
Y 0.6703 0.3297 0.8991
Y 0.9954 0.0046 0.2500
Tm 0.0046 0.9954 0.6217
Tm 0.0046 0.9954 0.8783
Tm 0.3347 0.6653 0.5413
Tm 0.3347 0.6653 0.9587
Tm 0.6653 0.3347 0.0413
Tm 0.6653 0.3347 0.4587
Tm 0.9954 0.0046 0.1217
Tm 0.9954 0.0046 0.3783
Th 0.3291 0.6709 0.2500
Th 0.6709 0.3291 0.7500


First-principles (PBE) data for a relaxed YTm2Th3 crystal, as listed in Alexandria.

## Properties
As for the energy relative to the lowest polymorph listed for this composition: 0.000 eV per atom. As for the crystal system: monoclinic. The electronic total energy comes out at -6.237 eV/atom.

abc: 9.3945 9.3945 6.1747
angles: 90.25 90.25 44.12
Fractional coordinates of all 12 atoms:
Y 0.1287 0.8713 0.7500
Y 0.8713 0.1287 0.2500
Tm 0.0430 0.2940 0.9169
Tm 0.2940 0.0430 0.4169
Tm 0.7060 0.9570 0.5831
Tm 0.9570 0.7060 0.0831
Th 0.2123 0.4546 0.5840
Th 0.3794 0.6206 0.2500
Th 0.4546 0.2123 0.0840
Th 0.5454 0.7877 0.9160
Th 0.6206 0.3794 0.7500
Th 0.7877 0.5454 0.4160


First-principles (PBE) data for a relaxed YTmThZr crystal, as listed in Alexandria.

## Properties
As for the crystal system: cubic. The electronic total energy comes out at -6.562 eV/atom.

abc: 5.4729 5.4729 5.4729
angles: 60.00 60.00 60.00
Fractional coordinates of all 4 atoms:
Y 0.0000 0.0000 0.0000
Tm 0.2500 0.2500 0.2500
Th 0.5000 0.5000 0.5000
Zr 0.7500 0.7500 0.7500


First-principles (PBE) data for a relaxed TmThZn3 crystal, as listed in Alexandria.

## Properties
As for the crystal system: orthorhombic. The electronic total energy comes out at -3.430 eV/atom.

abc: 13.6589 13.6589 4.5369
angles: 90.00 90.00 165.01
Fractional coordinates of all 10 atoms:
Tm 0.2099 0.7901 0.7500
Tm 0.7901 0.2099 0.2500
Th 0.0743 0.9257 0.2500
Th 0.9257 0.0743 0.7500
Zn 0.3236 0.6764 0.7500
Zn 0.3778 0.6222 0.2500
Zn 0.4760 0.5240 0.2500
Zn 0.5240 0.4760 0.7500
Zn 0.6222 0.3778 0.7500
Zn 0.6764 0.3236 0.2500


First-principles (PBE) data for a relaxed Tm2ThZn crystal, as listed in Alexandria.

## Properties
As for the energy relative to the lowest polymorph listed for this composition: 0.174 eV per atom. As for the crystal system: tetragonal. The electronic total energy comes out at -4.400 eV/atom.

abc: 4.7170 4.7170 4.8014
angles: 90.00 90.00 90.00
Fractional coordinates of all 4 atoms:
Tm 0.0000 0.5000 0.0000
Tm 0.5000 0.0000 0.0000
Th 0.0000 0.0000 0.5000
Zn 0.5000 0.5000 0.5000